How to Calculate Weighted Average

Author: John Stephens
Date Of Creation: 22 January 2021
Update Date: 1 July 2024
Weighted Average with the SUMPRODUCT Function in Excel - Weighted Mean
Video: Weighted Average with the SUMPRODUCT Function in Excel - Weighted Mean


The weighted average, also known as the weighted average, is a little more difficult to calculate than the conventional arithmetic mean. As the name suggests, a weighted average is a mean or a mean in which the component numbers have different values ​​or weights. For example, you need to find a weighted average when calculating grades in class, where tests make up different proportions of your total score. The procedure you use to calculate may differ slightly depending on whether the total weighted value is 1 (or 100%) or not.

Between two parts of the article: data records =
........
1.
This record from the OMol25 dataset describes a structure of composition C24H66FN6O6Pd. The level of theory is ωB97M-V/def2-TZVPD.

CARTESIAN COORDINATES (ANGSTROEM)
Pd (0.267, -1.052, -1.995)
F (0.539, 0.134, -0.236)
C (-0.335, 2.675, -4.228)
C (0.176, 1.221, -4.037)
C (1.593, 1.233, -3.521)
O (2.065, 0.013, -2.888)
C (3.455, 0.125, -2.447)
N (-0.731, 0.636, -2.974)
H (0.398, 3.276, -4.767)
H (-0.550, 3.134, -3.263)
H (-1.214, 2.710, -4.870)
H (0.036, 0.550, -4.885)
H (1.708, 1.993, -2.748)
H (2.344, 1.460, -4.277)
H (3.303, 0.535, -1.449)
H (4.123, 0.724, -3.065)
H (3.862, -0.881, -2.342)
H (-0.790, 1.442, -2.368)
H (-1.638, 0.702, -3.412)
C (3.591, -2.553, -0.388)
C (2.444, -3.275, -1.114)
C (2.535, -4.802, -0.890)
O (3.731, -5.294, -1.434)
C (3.795, -6.747, -1.576)
N (1.219, -2.644, -0.583)
H (3.607, -2.972, 0.618)
H (3.450, -1.472, -0.382)
H (4.508, -2.653, -0.969)
H (2.540, -3.081, -2.182)
H (1.748, -5.238, -1.506)
H (2.456, -5.113, 0.152)
H (2.889, -7.354, -1.587)
H (4.380, -7.061, -0.712)
H (4.337, -6.927, -2.505)
H (1.362, -2.549, 0.413)
H (0.546, -3.393, -0.663)
C (0.349, -1.477, 2.966)
C (1.469, -0.418, 3.025)
C (2.303, -0.383, 4.311)
O (3.129, 0.686, 4.338)
C (3.841, 0.934, 5.567)
N (2.300, -0.618, 1.861)
H (0.682, -2.515, 2.978)
H (-0.320, -1.435, 2.107)
H (-0.204, -1.580, 3.899)
H (1.077, 0.586, 2.865)
H (2.819, -1.332, 4.457)
H (1.789, -0.348, 5.272)
H (4.705, 0.305, 5.781)
H (3.171, 0.804, 6.416)
H (4.145, 1.976, 5.668)
H (3.101, -0.018, 1.727)
H (1.647, -0.457, 1.107)
C (-1.828, 1.628, 3.043)
C (-2.898, 0.917, 2.221)
C (-4.052, 1.797, 1.801)
O (-3.524, 2.791, 0.996)
C (-4.369, 3.904, 0.938)
N (-2.338, 0.251, 1.037)
H (-2.192, 2.238, 3.870)
H (-1.374, 2.313, 2.327)
H (-0.964, 1.088, 3.431)
H (-3.283, 0.133, 2.873)
H (-4.716, 2.132, 2.598)
H (-4.800, 1.196, 1.283)
H (-5.206, 3.606, 0.306)
H (-3.749, 4.663, 0.460)
H (-4.598, 4.335, 1.912)
H (-1.331, 0.175, 1.064)
H (-2.355, 0.915, 0.276)
C (-0.161, 5.245, -0.276)
C (0.464, 3.816, -0.251)
C (1.168, 3.566, 1.059)
O (2.175, 4.454, 1.169)
C (2.502, 4.741, 2.490)
N (-0.595, 2.842, -0.501)
H (0.502, 6.109, -0.241)
H (-0.955, 5.597, 0.383)
H (-0.681, 5.304, -1.233)
H (1.147, 3.727, -1.095)
H (1.535, 2.545, 0.960)
H (0.433, 3.634, 1.861)
H (2.937, 3.939, 3.086)
H (1.620, 5.068, 3.041)
H (3.129, 5.627, 2.584)
H (-1.280, 2.868, 0.242)
H (-0.191, 1.925, -0.376)
C (-3.827, -2.297, -0.110)
C (-2.858, -2.547, -1.285)
C (-3.770, -2.728, -2.513)
O (-4.461, -3.944, -2.529)
C (-4.968, -4.368, -3.808)
N (-1.953, -1.412, -1.318)
H (-4.364, -1.350, -0.170)
H (-3.276, -2.409, 0.823)
H (-4.644, -3.019, -0.134)
H (-2.398, -3.526, -1.150)
H (-3.070, -2.619, -3.341)
H (-4.622, -2.052, -2.436)
H (-5.930, -3.862, -3.884)
H (-5.101, -5.447, -3.880)
H (-4.359, -3.997, -4.632)
H (-2.399, -0.684, -1.858)
H (-1.924, -1.037, -0.380)

Summary:
- Spin multiplicity: 4
- Charge: 0
- Molecular weight: 660.25 g/mol
- Lowest unoccupied orbital energy (spin up / spin down): 0.7 / 0.0 eV
........


Method 1 of 2: Calculate the weighted average when the weights add up to 1

Next to the text, the page also holds molecular data >
~~~
No. 1
52
Properties=species:S:1:pos:R:3:lowdin_charge:R:1 method="wB97M-V/def2-TZVPD" charge=+1 e_lumo_ev=-2.438 homo_lumo_gap_ev=9.2195 de_lowest_kj_mol=448.7
C -1.08624 0.59700 -0.55054 -0.189
N -1.63980 1.86516 -0.08964 -0.075
C -3.05006 1.87991 0.41964 -0.233
C -4.01777 0.87350 -0.29191 -0.086
C 0.45336 0.62085 -0.41027 -0.276
N 1.01119 0.04143 -1.77932 0.170
C 2.61701 0.12213 0.77069 -0.066
C 1.06611 -0.11504 0.69666 -0.233
H -1.50120 -0.34536 0.12953 0.161
H -1.51097 0.35306 -1.54993 0.119
H -1.50454 2.50641 -0.87505 0.115
H -2.94638 1.84098 1.49433 0.079
H -3.61578 2.76484 0.31746 0.086
H -4.69022 1.48988 -0.95310 0.081
H -4.67758 0.25714 0.45664 0.110
H -3.62887 0.02965 -0.82821 0.024
H 0.80755 1.66139 -0.17280 0.129
H 0.76884 0.78794 -2.43644 0.113
H 2.11728 -0.03556 -1.82617 0.155
H 0.42588 -0.79550 -1.88252 0.088
H 3.13074 -0.47104 -0.06935 0.084
H 2.87016 -0.47043 1.64709 0.070
H 2.84662 1.22361 0.96226 0.078
H 0.83360 -1.18731 0.88540 0.103
H 0.70390 0.21892 1.71401 0.116
H 2.56312 -2.66126 -2.68302 -0.003
H 4.04571 -2.53287 -2.22959 0.109
O 3.21585 -1.99783 -2.52404 -0.080
H 2.94498 3.08509 0.45736 0.040
H 3.06755 3.01787 -0.95434 0.016
O 2.40171 3.21832 -0.31904 -0.037
H -1.53784 0.31514 4.02222 0.022
H -0.53817 1.09440 3.26886 0.043
O -0.86369 0.13078 3.40849 -0.092
H 3.01904 2.06807 -3.48950 0.040
H 1.95610 2.65961 -2.71988 0.077
O 2.28460 1.78780 -3.00996 -0.017
H -0.27526 -1.89656 -3.74566 0.050
H -0.33445 -2.77864 -2.42773 0.028
O 0.11817 -2.20106 -2.96990 0.030
H 2.34131 -4.14040 0.22126 0.049
H 1.38152 -4.64037 1.23248 0.061
O 1.67144 -3.77956 0.84551 -0.082
H -0.89732 -1.64036 2.99052 0.034
H -0.36804 -2.97221 2.45255 0.053
O -1.06279 -2.31226 2.27785 -0.083
H -1.43088 3.13443 3.88145 0.073
H -1.37079 2.79840 2.47729 -0.022
O -0.89107 2.71476 3.23187 0.029
H -1.98434 -2.36925 0.70465 -0.004
H -2.80978 -3.30548 -0.02655 -0.027
O -2.42951 -2.51009 -0.15161 -0.030

=====

No. 2
54
Properties=species:S:1:pos:R:3:lowdin_charge:R:1 method="wB97M-V/def2-TZVPD" e_lumo_ev=-0.011 homo_lumo_gap_ev=8.1246 de_lowest_kj_mol=688.4
C 2.15166 2.16040 1.15282 -0.084
C 1.34517 1.12003 0.31517 -0.225
N 1.48645 0.13736 -3.32982 0.073
C 1.70015 0.36329 -1.91996 -0.107
C 1.12306 1.26866 -1.17974 -0.272
C 0.74426 2.61210 -1.57804 -0.121
C 0.58695 3.01322 -2.85307 -0.002
H 1.60011 2.78421 1.77979 0.021
H 2.67768 2.94921 0.46145 0.110
H 3.05195 1.62234 1.53331 0.073
H 0.37140 0.72118 0.85435 0.139
H 1.72480 0.12674 0.57239 0.057
H 1.96727 -0.54009 -3.83593 0.066
H 1.67529 0.97796 -3.84632 0.055
H 2.33783 -0.39700 -1.45682 0.094
H 0.52127 3.33747 -0.74832 0.101
H 0.14206 4.04024 -3.06523 0.079
H 0.72034 2.49014 -3.77659 0.006
H -2.10377 -0.27601 2.57538 -0.121
H -1.11622 -1.30645 3.08527 -0.033
O -1.85837 -0.76972 3.22952 0.017
H 0.23572 -3.19447 0.13810 0.046
H 1.58275 -4.06195 -0.05335 0.066
O 1.15225 -3.37165 0.47304 -0.073
H -0.50097 -3.29275 2.27440 0.013
H 0.70718 -2.31013 2.40708 -0.007
O -0.09907 -2.64688 2.76682 -0.014
~~~

  1. Collect the numbers you want to average. You will begin by putting together a list of numbers to calculate the weighted average. For example, if you want to find a weighted average of grades in class, the first thing to do is write them down.
    • For example, maybe your overall score is 82 for the oral test, 90 for the written test, and 76 for the semester exam.

  2. Determine how important each number is. Once you have the numbers, you need to know how important each of them is, or how valuable it is in your average score. For example, in your class, the oral test accounts for 20% of the total score, while the written test is 35% and the final exam is 45%. In this case, the sum of the weights equals 1 (or 100%).
    • To use percentages in your problem, you need to convert them to decimals. The conversion result is called "weighting".

    Advice: Converting percent to decimals is very simple! Place the decimal comma at the end of the percentage value, then shift two places to the left. For example, 75% would be 0.75.

  3. Multiply each number by their weight (w). Once you have the numbers, pair each number (x) with their respective weight (w). You will multiply each pair of numbers and weights together and then add them together to get the average.
    • For example, if your total oral test score is 82 and the proportion in the total score on the oral exam is 20%, multiply 82 x 0.2. In this case, x = 82 and w = 0.2.

  4. Add together results to find the weighted average. The basic formula for finding the weighted average when the sum of weights equals 1 is x1 (w1) + x2 (w2) + x3 (w3), etc., where x is each number in your number and w is their respective weight. To find the weighted average, simply multiply each number by its weight and add the results together. For example:
    • The weighted average of your oral, written, and final exam scores would be as follows: 82 (0.2) + 90 (0.35) + 76 (0.45) = 16.4 + 31, 5 + 34.2 = 82.1. This means your course GPA is 82.1%.

# Quantum chemistry results, as found in the file
No. 1
84
Properties=species:S:1:pos:R:3 method="wB97M-V/def2-TZVPD" gap_ev="3.8381 / 3.8371" total_charge=+4
Pb 0.4993 0.4417 -0.7770
C 1.7510 0.3945 -3.2865
O 2.2796 -0.1677 -4.1329
C 1.2184 2.9946 0.0411
O 1.3075 3.8219 0.8203
P -1.9791 1.5234 -1.6352
C -3.1929 2.1896 -0.4285
H -4.0501 2.5581 -1.0090
C -1.8250 2.9045 -2.8844
H -1.0545 3.5465 -2.4184
C -2.9119 0.0538 -2.3064
H -3.1120 -0.5336 -1.3928
C 3.0468 -2.2036 0.3455
P 2.8075 -0.4293 0.8648
H 3.8875 -0.6290 2.9406
H 2.1742 -2.7165 0.7896
C 4.4330 0.4085 0.4866
H 5.1827 -0.3698 0.6631
C -1.2798 2.3449 -4.1997
H -2.0254 1.7074 -4.6970
H -0.3620 1.7553 -4.0576
H -1.0477 3.1714 -4.8883
C -3.0826 3.7437 -3.1115
H -2.9193 4.4097 -3.9704
H -3.3404 4.3818 -2.2584
H -3.9468 3.1040 -3.3330
C -4.2517 0.4279 -2.9373
H -4.9183 0.9514 -2.2420
H -4.7671 -0.4954 -3.2404
H -4.1196 1.0424 -3.8377
C -2.0843 -0.8419 -3.2351
H -2.4508 -1.8757 -3.1438
H -1.0149 -0.8654 -2.9847
H -2.1889 -0.5337 -4.2842
C -3.7052 1.0844 0.5021
H -4.5249 0.5174 0.0362
H -4.0811 1.5379 1.4274
H -2.9050 0.3836 0.7759
C -2.5931 3.3921 0.3044
H -1.8000 3.0777 0.9914
H -3.3893 3.8656 0.8956
H -2.1822 4.1378 -0.3882
C 4.3231 -2.8281 0.9144
H 4.4681 -2.6232 1.9801
H 5.2155 -2.4918 0.3676
H 4.2533 -3.9182 0.7899
C 2.9802 -2.4208 -1.1693
H 3.9035 -2.0886 -1.6638
C 2.2311 0.6651 3.3895
H 2.1280 -1.9209 -1.6501
H 2.8697 -3.5003 -1.3573
C 2.1576 -1.8750 3.2264
H 1.1770 0.4928 3.6413
H 2.7749 0.8718 4.3273
H 2.2665 1.5530 2.7437
C 2.8136 -0.5861 2.7133
H 1.9546 -1.7720 4.3011
H 2.7920 -2.7593 3.0761
H 1.1921 -2.0475 2.7319
C 4.7309 1.5908 1.4067
H 3.9655 2.3673 1.2964
H 5.6887 2.0313 1.0993
H 4.7955 1.3010 2.4626
C 4.5105 0.8294 -0.9809
H 4.3845 -0.0074 -1.6803
H 5.4795 1.3165 -1.1664
H 3.7375 1.5732 -1.2077
H -0.8584 2.4159 2.9998
H -1.4862 2.3193 3.4047
C -2.4308 -3.8022 2.7199
N -1.8258 -2.5468 2.2889
C -1.9573 -1.3834 3.1565
C -1.1879 -2.4214 1.1066
C -1.0371 -3.6710 0.2791
O -0.7565 -1.2807 0.7618
H -2.9604 -3.6410 3.6671
H -1.6704 -4.5821 2.8738
H -3.1380 -4.1830 1.9665
H -0.9941 -0.8879 3.3385
H -2.6208 -0.6126 2.7422
H -2.3719 -1.7301 4.1076
H -0.4412 -3.4589 -0.6143
H -0.5132 -4.4579 0.8507
H -2.0252 -4.0410 -0.0456



No. 2
19
Properties=species:S:1:pos:R:3 method="wB97M-V/def2-TZVPD" e_above_lowest_kcal_mol=8.7 gap_ev=8.1287 total_charge=-1
C -1.2606 0.7808 -1.1637
C -0.1545 -0.3056 -1.2497
C 1.2489 0.2062 -0.9113
O 1.6152 0.0855 0.4206
N -1.9459 0.8284 0.1194
H -1.8780 0.6471 -2.0590
H -0.7711 1.7420 -1.3384
H -0.3630 -1.1383 -0.5696
H -0.1521 -0.8081 -2.2286
H 1.2624 1.2818 -1.2035
H 2.0745 -0.1988 -1.5282
H -1.2476 1.1055 0.8093
H -2.1970 -0.1150 0.3910
H 1.1218 -1.2239 0.9836
H 1.2334 -2.6658 1.7016
O 0.5989 -2.0684 1.2983
H 0.8505 0.7464 1.6461
H -0.1930 0.1087 2.5335
O 0.1573 0.9915 2.3485



No. 3
14
Properties=species:S:1:pos:R:3 method="wB97M-V/def2-TZVPD" gap_ev=11.1201 smiles="O=[N+]([O-])C(F)(F)C(F)([N+](=O)[O-])[N+](=O)[O-]"
O -1.8169 1.0242 -1.0511
N -1.8578 -0.1379 -0.8935
O -2.5761 -0.9772 -1.2805

Method 2 of 2: Sum the weights is not equal to 1

  1. Write down the numbers you want to average. When you calculate a weighted average, the different weights don't always add up to equal 1 (or 100%). Either way, start by gathering numbers, or single numbers for which you want to find the mean.
    • For example, you might want to know how many hours of sleep you sleep on average for 15 weeks per night, but the number of hours you sleep varies from week to week. You can sleep 5, 8, 4, or 7 hours a night.

  2. Find the weight of each number. Once you have the numbers, find the total weight associated with each number. For example, suppose over a 15-week period, on average, there are weeks where you sleep at night more than others. The weeks that best represent how much you usually sleep have more weight than other weeks. You will use the number of weeks relative to the number of hours you sleep as your weight.For example, put the weeks in the following weighted order:
    • 9 weeks when you sleep an average of 7 hours per night.
    • 3 weeks when you sleep 5 hours per night.
    • 2 weeks when you sleep 8 hours per night.
    • 1 week when you sleep 4 hours per night.
    • The number of weeks associated with the number of hours of sleep is weight. In this case, you sleep 7 hours per night for most weeks, while having relatively fewer weeks than you sleep for more or less hours.

  3. Sum the weights. To calculate the weighted average, you need to find out how much the weights are worth when adding them together. To do this, add up the weights. In the case of your sleep study, you already know that the total weights are 15, since you are looking at your sleep patterns that take place over a 15-week period.
    • The total number of weeks added is as follows: 3 weeks + 2 weeks + 1 week + 9 weeks = 15 weeks.

  4. Multiply the numbers by their weights and add the result. Next, multiply each number in your numbers by their respective weights, just as you would for the case of summing the weights equal to 1 (or 100%). Add together the results. For example, if you calculate the average number of hours of sleep per night over a period of 15 weeks, multiply the average number of hours of sleep per night by the corresponding number of weeks. You will get:
    • 5 hours per week (3 weeks) + 8 hours per week (2 weeks) + 4 hours per week (1 week) + 7 hours per week (9 weeks) = 5 (3) + 8 (2) + 4 (1) + 7 (9) = 15 + 16 + 4 + 63 = 98
  5. Divide the result by the total weight to find the mean. After multiplying each number by its weight and adding up the results, divide the results you find by the total weight. You will find a weighted average. For example:
    • 98/15 = 6.53. This means you get an average of 6.53 hours of sleep per night over a 15 week period.